== Given ==
=====
(1)
A geometry-optimized KTiO3 structure. Source: the Materials Project, functional PBE.

It has space group P4mm (No. 99), with a = 3.692 Å, b = 3.692 Å, c = 5.767 Å, α = 90.00°, β = 90.00° and γ = 90.00°. The inequivalent atoms are K at (0.000, 0.000, 0.000), Ti at (0.500, 0.500, 0.498), O at (0.000, 0.500, 0.610) and O at (0.500, 0.500, 0.198).

For the total energy, the calculation gives -35.12 eV for the cell shown. Its magnetic moment is 1.00 μB per formula unit. The value obtained for the density is 2.851 g/cm3. As for the calculated formation energy: -1286.5 kJ/mol of formula units. Its volume is 78.6 Å³ per cell.

(2)
A geometry-optimized Dy2IrAu structure. Source: the Materials Project, functional PBE.

It has space group Fm-3m (No. 225), with a = 7.026 Å, b = 7.026 Å, c = 7.026 Å, α = 90.00°, β = 90.00° and γ = 90.00°. The inequivalent atoms are Dy at (0.250, 0.250, 0.250), Ir at (0.000, 0.000, 0.000) and Au at (0.000, 0.000, 0.500).

For the total energy, the calculation gives -98.75 eV for the cell shown. The value obtained for the density is 13.674 g/cm3. As for the calculated formation energy: -324.4 kJ/mol of formula units. Its volume is 346.9 Å³ per cell.

(3)
A geometry-optimized CsTiCl3 structure. Source: the Materials Project, functional PBE.

It has space group P6_3/mmc (No. 194), with a = 7.6564 Å, b = 7.6564 Å, c = 5.6721 Å, α = 90.00°, β = 90.00° and γ = 120.00°. The inequivalent atoms are Cs at (0.3333, 0.6667, 0.2500), Ti at (0.0000, 0.0000, 0.0000) and Cl at (0.1574, 0.3148, 0.7500).

For the total energy, the calculation gives -45.56 eV for the cell shown. The value obtained for the density is 3.312 g/cm3. As for the calculated formation energy: -992.4 kJ/mol of formula units. Its volume is 288.0 Å³ per cell.

(4)
A geometry-optimized NaGaS2O8 structure. Source: the Materials Project, functional PBE.

It has space group C2/m (No. 12), with a = 7.996 Å, b = 5.166 Å, c = 7.298 Å, α = 90.00°, β = 92.84° and γ = 90.00°. The inequivalent atoms are Na at (0.000, 0.000, 0.000), Ga at (0.000, 0.000, 0.500), S at (0.135, 0.500, 0.285), O at (0.025, 0.264, 0.301), O at (0.209, 0.500, 0.108) and O at (0.242, 0.000, 0.554).

For the total energy, the calculation gives -142.38 eV for the cell shown. Its magnetic moment is 0.00 μB per formula unit. The value obtained for the density is 3.142 g/cm3. As for the calculated formation energy: -2361.6 kJ/mol of formula units. Its volume is 301.0 Å³ per cell.

----------

(1)
Computed, not measured: a relaxed MnF3 crystal at the GGA+U level of DFT.

The value obtained for the formation energy is -2737 meV/atom. The total magnetic moment comes out at 4.00 μB per formula unit. As for the total energy: -5.700 eV per atom.

a = 12.485 Å, b = 12.485 Å, c = 3.907 Å
α = 90.00°, β = 90.00°, γ = 90.00°
Space group P4/mbm (No. 127)
Symmetry-distinct sites (fractional):
Mn 0.000 0.500 0.000
Mn 0.078 0.208 0.000
F 0.000 0.500 0.500
F 0.002 0.346 0.000
F 0.061 0.856 0.000
F 0.079 0.208 0.500
F 0.216 0.284 0.000

***

(2)
Computed, not measured: a relaxed MnNF3 crystal at the GGA+U level of DFT.

The value obtained for the formation energy is -1093 meV/atom. For the distance to the lowest polymorph of the same formula, the calculation gives 0.000 eV/atom. The total magnetic moment comes out at 7.00 μB per formula unit. As for the total energy: -5.131 eV per atom.

a = 5.695 Å, b = 5.695 Å, c = 3.957 Å
α = 90.00°, β = 90.00°, γ = 90.00°
Space group P4/mbm (No. 127)
Symmetry-distinct sites (fractional):
Mn 0.000 0.500 0.000
N 0.000 0.000 0.500
F 0.000 0.500 0.500
F 0.235 0.265 0.000

***

(3)
Computed, not measured: a relaxed MnNF3 crystal at the GGA+U level of DFT.

The value obtained for the formation energy is -713 meV/atom. For the distance to the lowest polymorph of the same formula, the calculation gives 0.380 eV/atom. The total magnetic moment comes out at 1.00 μB per formula unit. As for the total energy: -4.751 eV per atom.

a = 3.983 Å, b = 3.983 Å, c = 3.983 Å
=====

== Job ==
Copy the lines further up from the line with "3.312 g/cm3." to the end without altering anything, please.

== Outcome ==
For the total energy, the calculation gives -45.56 eV for the cell shown. The value obtained for the density is 3.312 g/cm3. As for the calculated formation energy: -992.4 kJ/mol of formula units. Its volume is 288.0 Å³ per cell.

(4)
A geometry-optimized NaGaS2O8 structure. Source: the Materials Project, functional PBE.

It has space group C2/m (No. 12), with a = 7.996 Å, b = 5.166 Å, c = 7.298 Å, α = 90.00°, β = 92.84° and γ = 90.00°. The inequivalent atoms are Na at (0.000, 0.000, 0.000), Ga at (0.000, 0.000, 0.500), S at (0.135, 0.500, 0.285), O at (0.025, 0.264, 0.301), O at (0.209, 0.500, 0.108) and O at (0.242, 0.000, 0.554).

For the total energy, the calculation gives -142.38 eV for the cell shown. Its magnetic moment is 0.00 μB per formula unit. The value obtained for the density is 3.142 g/cm3. As for the calculated formation energy: -2361.6 kJ/mol of formula units. Its volume is 301.0 Å³ per cell.

----------

(1)
Computed, not measured: a relaxed MnF3 crystal at the GGA+U level of DFT.

The value obtained for the formation energy is -2737 meV/atom. The total magnetic moment comes out at 4.00 μB per formula unit. As for the total energy: -5.700 eV per atom.

a = 12.485 Å, b = 12.485 Å, c = 3.907 Å
α = 90.00°, β = 90.00°, γ = 90.00°
Space group P4/mbm (No. 127)
Symmetry-distinct sites (fractional):
Mn 0.000 0.500 0.000
Mn 0.078 0.208 0.000
F 0.000 0.500 0.500
F 0.002 0.346 0.000
F 0.061 0.856 0.000
F 0.079 0.208 0.500
F 0.216 0.284 0.000

***

(2)
Computed, not measured: a relaxed MnNF3 crystal at the GGA+U level of DFT.

The value obtained for the formation energy is -1093 meV/atom. For the distance to the lowest polymorph of the same formula, the calculation gives 0.000 eV/atom. The total magnetic moment comes out at 7.00 μB per formula unit. As for the total energy: -5.131 eV per atom.

a = 5.695 Å, b = 5.695 Å, c = 3.957 Å
α = 90.00°, β = 90.00°, γ = 90.00°
Space group P4/mbm (No. 127)
Symmetry-distinct sites (fractional):
Mn 0.000 0.500 0.000
N 0.000 0.000 0.500
F 0.000 0.500 0.500
F 0.235 0.265 0.000

***

(3)
Computed, not measured: a relaxed MnNF3 crystal at the GGA+U level of DFT.

The value obtained for the formation energy is -713 meV/atom. For the distance to the lowest polymorph of the same formula, the calculation gives 0.380 eV/atom. The total magnetic moment comes out at 1.00 μB per formula unit. As for the total energy: -4.751 eV per atom.

a = 3.983 Å, b = 3.983 Å, c = 3.983 Å